Monday 11 November 2013

No love for NEW YORK NEW YORK ?

A love story is like a song. It's beautiful while it lasts (as the movie's tagline said).

Our "Sunday Times" ran a new interview with Robert De Niro in their Culture magazine, the usual fawning stuff - as usual De Niro had nothing much to say (like when he was on tv last week on our Graham Norton Show, where he was just there to plug a silly new movie), the magazine interview by Bryan Appleyard name-checked those great Scorsese-De Niro collaborations MEAN STREETS, TAXI DRIVER, RAGING BULL, THE KING OF COMEDY, GOODFELLAS, CAPE FEAR, CASINO - but did not mention their 1977 NEW YORK NEW YORK which seems to be considered something of a flop these days.
I though loved it at the time, and went to its first run and saw it several times and also got the double vinyl gatefold soundtrack album - it was just before the home video explosion when a soundtrack album was the best souvenir available.

An egotistical saxophone player and a young singer meet on V-J Day and embark upon a strained and rocky romance, even as their careers begin a long uphill climb - he becomes a great jazz musician while she becomes a famous vocalist and movie star, can they rekindle their romance?

After the low-budget success of TAXI DRIVER, Scorsese was riding high, and he was given the chance to mount his follow-up on a big scale. Just as the story and situation mimic those of old musicals, NEW YORK NEW YORK's production design aims to recreate those movies' stylized, artificial sets and visuals. I can see it was a troubled (cocaine-fuelled apparantly) shoot which over-ran - the big "Happy Endings" number with Larry Kert (Liza's "Born in a Trunk"?) was removed, but everything about it worked for me. The colour and music, that great long opening sequence when we realise how obnoxious Jimmy Doyle is (for me his jazzman is as good as his Travis Bickle), those scenes of their doomed romance - the artificial trees in that scene in the snow, when he attacks Francine for getting pregnant.  The songs are great too, some in the '40s style of Peggy Lee, and Diahnne Abbot as the Harlem club singer whose  "Honeysuckle Rose" is in  the style of Billie Holiday. The title song by Liza, with that marvellous staging, is the definitive version (sorry, Frank). It and CABARET are Liza's defining moments, and it is certainly a great De Niro performance. It is really a movie buff's musical as Scorsese recreates '40s and '50s musicals - perhaps his A STAR IS BORN ?  Scorsese's opus too was cut from 163 minutes to about 130 for various releases. 
Perhaps the bittersweet ending where they both walk away from a proposed meeting did not work for audiences? and De Niro does not play for sympathy as Jimmy Doyle is certainly an abusive husband. 1977 was the era of SATURDAY NIGHT FEVER and STAR WARS and CLOSE ENCOUNTERS, but surely the ANNIE HALL crowd would have embraced NEW YORK, NEW YORK?  Scorsese's later films with Leonardo DiCaprio do not work for me in the same way as his with De Niro. In the interview he says there may be another De Niro-Scorsese film ...

More offbeats soon: FELLINI SATYRICON, Herzog's NOSFERATU, Bunuel's PHANTOM OF LIBERTY, Powell's PEEPING TOM, THE PLACE BEYOND THE PINES, ONLY GOD FORGIVES, Ingrid as HEDDA GABLER, LOVE IS THE DEVIL, that Liberace biopic, more Deneuve and Schneider reviews, and Brush up your Shakespeare: all those HAMLETs, MERCHANT OF VENICE and Orson's OTHELLO ... 


  1. This comment has been removed by a blog administrator.

  2. I saw it in it's initial run and while I enjoyed the music, I had a very difficult time warming to the thug that DeNiro played and the doormat that Liza's character allowed herself to be for him. Once I watched it again with the restored Happy Endings number I deeply regretted it's removal from the original and think it could have only helped what was a heavy viewing experience for anyone who had been expecting a tribute to those big splashy musicals of the 40's.

Attached: molecular data =
'''
# 1
{"formula": "C3H8N2S2", "method": "ωB97M-V with the def2-TZVPD basis set", "smiles": "CNC(=S)NSC", "fmax_ev_per_a": 2.20, "total_charge": 0, "e_tot_ha": -1024.9810, "species": ["C", "N", "C", "S", "N", "S", "C", "H", "H", "H", "H", "H", "H", "H", "H"], "positions_angstrom": [[-0.4486, 2.1169, -0.1091], [-1.1810, 0.8888, 0.2612], [-1.1906, -0.3018, -0.3647], [-2.4762, -1.3681, -0.2128], [-0.0831, -0.5841, -1.1272], [1.5120, -0.3060, -0.5947], [1.6592, -1.6280, 0.6326], [0.5777, 2.1182, 0.3669], [-1.0088, 2.9670, 0.2996], [-0.3765, 2.2245, -1.1661], [-1.8261, 0.9067, 1.0163], [-0.2690, -1.4366, -1.6599], [2.7007, -1.5673, 0.9394], [1.0008, -1.3738, 1.4705], [1.4096, -2.6565, 0.2480]], "forces_ev_per_angstrom": [[0.6007, -0.4483, 2.0721], [0.5296, 0.2392, -0.3444], [-0.1341, 0.2236, 0.3864], [0.5118, 0.1923, -0.1107], [-0.4326, -0.4244, -0.6640], [-0.2858, -0.6898, -0.3000], [-0.4486, -0.3263, -0.0993], [-1.0797, 0.1140, -0.7106], [0.0842, -0.2415, -0.1742], [0.1101, -0.0821, -0.7969], [-0.5700, 0.4396, 0.2917], [0.4932, 0.3343, 0.1232], [0.0591, -0.2228, 0.1926], [0.2252, -0.2635, -0.0565], [0.3371, 1.1558, 0.1907]], "lowdin_charge": [-0.10, -0.07, -1.00, 0.56, -0.36, 0.84, -0.39, 0.06, 0.08, 0.07, 0.10, 0.07, 0.02, 0.03, 0.06]}



# 2
{"formula": "C3H8N3", "method": "ωB97M-V with the def2-TZVPD basis set", "smiles": "C1NCN2[NH2+][C@@H]12", "fmax_ev_per_a": 6.15, "total_charge": 1, "e_tot_ha": -283.0227, "species": ["C", "N", "C", "N", "N", "C", "H", "H", "H", "H", "H", "H", "H", "H"], "positions_angstrom": [[-0.7846, 1.0541, 0.2485], [-1.1250, -0.2048, -0.3393], [-0.3010, -1.2689, 0.2510], [0.9487, -0.6268, 0.5163], [1.3554, 0.1656, -0.7146], [0.6541, 0.8143, 0.4508], [-1.1488, 1.2031, 1.2788], [-0.9595, 1.8760, -0.4347], [-2.0173, -0.3842, -0.6669], [-0.6774, -1.8689, 1.0863], [-0.0607, -2.1200, -0.3780], [0.6347, -0.1187, -1.5315], [2.2760, -0.0374, -0.8668], [1.2053, 1.5166, 1.1003]], "forces_ev_per_angstrom": [[0.0505, -0.6786, 0.1917], [1.6096, -1.0525, -0.0238], [-1.0429, -1.0281, -0.9299], [0.3727, 2.1658, 0.7087], [-5.9493, -1.2946, -0.8610], [2.6024, -0.3257, 0.7584], [-0.3676, 0.3783, -0.3386], [-0.3361, 0.3089, 0.1862], [-1.9160, -0.4426, -0.4486], [0.0526, 1.0958, 0.8592], [-0.2994, 0.1327, -1.1115], [1.8200, 1.1433, 2.0432], [3.2837, 0.2102, -0.3421], [0.1197, -0.6129, -0.6917]], "lowdin_charge": [-0.14, -0.02, -0.18, 0.06, 0.20, -0.15, 0.15, 0.15, 0.11, 0.14, 0.13, 0.24, 0.13, 0.18]}



# 3
'''

    I thought DeNiro gave a good coiled performance of his character but that character didn't belong in this movie. Those 40's movies leading men could be cads but never the dirtbag Bob played. It didn't help that he and Liza had no chemistry
